## Wanted
The reader should find "33.95574" and "35.99990" in the calculation results further down, and quote these two lines and those between.
## Given
=====
Computed, not measured: a 9-piece molecular cluster, C43H60N8O15 overall in a non-equilibrium geometry, with ωB97M-V with the def2-TZVPD basis set.

Its calculated total energy is -88162.624 eV.

CARTESIAN COORDINATES (ANGSTROEM)
C  -52.49714  32.11724  37.02047
C  -51.03965  31.84805  36.48285
C  -50.11697  32.45505  37.57484
C  -49.80676  31.58658  38.66758
C  -49.43290  30.27461  38.11520
C  -50.44429  29.49830  37.29315
N  -50.89540  30.37287  36.22412
O  -51.64265  30.04420  35.31988
C  -51.60538  29.00303  38.14590
C  -49.75596  28.29068  36.57181
C  -50.76209  32.66250  35.14985
H  -53.26365  31.97647  36.15993
H  -52.64281  33.13014  37.36592
H  -52.89582  31.69098  37.90468
H  -50.43630  33.40977  37.81805
H  -49.16962  32.58190  37.30416
H  -50.76936  31.36153  39.23950
H  -48.99725  31.98710  39.28284
H  -49.16576  29.55416  39.10637
H  -48.46365  30.41035  37.68198
H  -52.24421  28.17279  37.64212
H  -52.20906  29.80994  38.29862
H  -51.22309  28.55532  39.04735
H  -49.19609  27.81923  37.32753
H  -49.03325  28.65930  35.63622
H  -50.40653  27.58364  36.08852
H  -50.60443  33.81163  35.09314
H  -51.48446  32.36624  34.52008
H  -49.71651  32.42850  34.69971
C  -46.72882  29.66760  34.48825
O  -46.64111  28.44438  34.83871
O  -45.80244  30.08504  33.61460
O  -47.62217  30.39869  34.90033
H  -45.07398  29.49239  33.46802
C  -42.86378  30.90451  36.15135
C  -42.79524  31.63017  37.50739
C  -41.47722  32.42966  37.82699
C  -40.42836  32.65458  36.68504
C  -40.57896  31.84425  35.34614
C  -41.87012  31.03829  35.21286
N  -39.29502  33.53965  37.08766
O  -38.45180  33.87175  36.16030
O  -39.32338  34.23818  38.03911
H  -43.85361  30.35174  35.99413
H  -43.65442  31.47596  38.07183
H  -41.60568  32.99325  38.66263
H  -39.95063  31.96355  34.65507
H  -42.00388  30.54731  34.16401
C  -44.85193  32.26541  29.21629
C  -44.03055  31.62616  28.22869
C  -42.75978  31.06610  28.68385
C  -42.41083  30.90053  30.08665
C  -43.31013  31.69506  31.17764
C  -44.65032  32.24275  30.64598
N  -41.00401  30.42857  30.43489
O  -40.42550  29.81168  29.55927
O  -40.62697  30.60595  31.60807
H  -45.88849  32.55835  28.96872
H  -44.46932  31.42631  27.15233
H  -41.99727  30.56961  27.93581
H  -43.25663  31.35230  32.18861
H  -45.33795  32.73670  31.28211
C  -44.62641  26.22887  36.53043
C  -43.26253  25.92508  36.86825
C  -42.88523  26.18433  38.35998
C  -43.79506  26.89811  39.26977
C  -45.30848  27.06840  38.79691
C  -45.59963  26.65440  37.36750
N  -43.38405  27.20396  40.63607
O  -44.28751  27.56242  41.57215
O  -42.25351  27.19673  40.87210
H  -44.83102  26.11148  35.47889
H  -42.68855  25.64465  35.94696
H  -41.98534  25.71986  38.89061
H  -45.99140  27.45317  39.50912
H  -46.60693  26.70190  36.75441
C  -48.20045  24.36669  31.51064
C  -47.68533  25.43481  32.40902
C  -47.83594  25.26737  33.95574
C  -48.70154  24.19751  34.47839
C  -49.08901  23.03254  33.55598
C  -48.83963  23.22579  32.05243
N  -49.02621  24.12537  35.99990
O  -48.54864  24.99706  36.73450
O  -49.54618  23.04708  36.33378
H  -47.97652  24.27851  30.37232
H  -47.25112  26.31890  32.08690
H  -47.60474  26.24116  34.44791
H  -49.66799  22.17113  33.93864
H  -49.29366  22.51684  31.19668
C  -46.25863  32.09616  37.85669
O  -46.53470  33.30022  37.53101
N  -46.31013  31.84417  39.16808
C  -46.05781  30.48218  39.78893
C  -46.51922  33.00027  40.17161
H  -46.21651  31.21442  37.25651
H  -46.97984  29.74327  39.98701
H  -45.58446  30.50446  40.76898
H  -45.34538  29.99066  39.20989
H  -47.14333  32.68918  41.06672
H  -46.79560  33.89594  39.84068
H  -45.64889  33.22567  40.56709
C  -48.01231  27.44246  29.67823
O  -47.94526  26.54584  28.79359
N  -46.98278  28.38008  29.57339
C  -47.00562  29.46681  30.51075
C  -45.96719  28.38440  28.49459
H  -48.71539  27.45354  30.33198
H  -46.08149  29.53199  30.81262
H  -47.86582  29.45629  31.33853
H  -47.32050  30.36101  29.89423
H  -46.38003  28.74517  27.40361
H  -45.62943  27.37860  28.42146
H  -45.16549  29.11277  28.81504
=====
## Here it is
C  -47.83594  25.26737  33.95574
C  -48.70154  24.19751  34.47839
C  -49.08901  23.03254  33.55598
C  -48.83963  23.22579  32.05243
N  -49.02621  24.12537  35.99990